What to do
Please say how many lines of the contents further below hold the word "of", as a bare number.

Contents
'''
Density functional theory data (r2SCAN) for crystalline LaHg at its relaxed geometry.

Geometry as POSCAR:
```
LaHg
1.0
3.898 0.000 0.000
0.000 3.898 0.000
0.000 0.000 3.898
Hg La
1 1
Direct
0.000 0.000 0.000
0.500 0.500 0.500
```

Values from the calculation:
Electronic total energy in eV/cell: -80.3
Crystal system: cubic
Size of the total moment in μB/cell: 0.3
Symmetry: Pm-3m (221)
Formation energy in eV/atom: -0.579


Crystalline CeYIn2 at its relaxed geometry, computed with GGA-PBE.

a b c (Å): 5.402 5.402 5.402
angles (deg): 60.00 60.00 60.00
Element x y z (fractional)
Ce: 0.000 0.000 0.000
Y: 0.500 0.500 0.500
In: 0.750 0.750 0.750
In: 0.250 0.250 0.250

Calculated values
total DFT energy (no corrections) = -4.899 eV per atom
ΔE_f = -0.42 eV/atom
'''

Done
1